“The Island: A Personal Account of Taiwan’s Extraordinary Transformation” by Mark O’Neill

A geometry-optimized MgMn5O9F structure. Source: the Materials Project, functional PBE with a Hubbard U.

Computed properties:
E: -112.13 eV per cell
Space-group type: P1
Polymorph energy (0 for the lowest one): 23 meV/atom
Energy of formation from the pure elements: -2.0786 eV/atom

abc: 5.259 5.142 8.105
angles: 108.98 77.51 78.87
Fractional positions:
Mg 0.507 0.806 0.109
Mn 0.973 0.199 0.404
Mn 0.006 0.007 0.007
Mn 0.015 0.598 0.199
Mn 0.968 0.796 0.596
Mn 0.012 0.405 0.792
O 0.203 0.198 0.165
O 0.210 0.812 0.337
O 0.165 0.411 0.556
O 0.232 0.635 0.985
O 0.822 0.410 0.033
O 0.779 0.968 0.251
O 0.798 0.578 0.421
O 0.793 0.173 0.624
O 0.795 0.807 0.873
F 0.220 0.994 0.736

The Island: A Personal Account of Taiwan’s Extraordinary Transformation, Mark O’Neill (Earnshaw, February 2024)

When Mark O’Neill first came to Taiwan in 1981 to study Mandarin, the island was under martial law that had been in place for several decades. Since then, Taiwan has undergone momentous changes to become a modern and prosperous democracy while remaining one of the world’s geopolitical hotspots, a great deal of which O’Neill witnessed and covers in The Island.

As a language student in Taiwan, and later a journalist visiting from nearby Hong Kong, O’Neill observed Taiwan’s transition as it gradually moved out of being a martial law dictatorship under the Kuomintang (KMT) in the 1980s to become a full democracy in the ’90s.


O’Neill provides up-close views of Taiwan’s presidential elections, one being that of 2000, when Taiwan elected its first president from the localist Democratic Progressive Party (DPP) which advocated for formal independence while the economy stagnated. After the KMT returned to power in 2008, the new president Ma Ying-jeou established closer ties to China such as direct flight and postal links. This then reversed in 2016 when the DPP again returned to the presidency while overseeing a growing sense of a more locally-based identity.

Taiwan’s population is over 95 percent ethnic Chinese Han, divided broadly into those whose ancestors arrived during the 17th-19th centuries, and those who came over during the late 1940s with the KMT from mainland China. While martial law affected everyone, the former group chafed more as the KMT tried to impose a uniform Chinese identity to replicate that from the Mainland. O’Neill had classmates and friends from both groups, allowing him to realize the differences and tensions between the two groups. As Taiwan democratized, these tensions have lessened among younger Taiwanese even as politics still remain fractious.

Taiwan retains  a strong affinity for Japan, which colonized Taiwan between 1895 and 1945 after defeating China in a war, whose influence lives on through baseball, hot spring resorts and Japanese restaurants. As O’Neill describes in one chapter, some Taiwanese who lived through Japanese colonization were able to speak Japanese and even went to study there for university. In World War II, 80,000 Taiwanese even served in Japan’s military and over 30,000 died, including the brother of Lee Teng-hui, who won Taiwan’s first democratic election in 1996. Indeed, Lee Teng-hui, who died in 2020, famously identified strongly with Japan where he had also studied at university.

Someone pasted crystal structures at this point =
=====
# 1
Here is crystalline Ca3Si4Ir4 at its relaxed geometry from the Materials Project database. Energies are from PBE.

abc: 6.476 6.476 6.476
angles: 109.47 109.47 109.47
Atoms (fractional coordinates):
Ca1 0.000 0.500 0.500
Ca2 0.500 0.000 0.500
Ca3 0.500 0.500 0.000
Si1 0.000 0.000 0.366
Si2 0.000 0.366 0.000
Si3 0.366 0.000 0.000
Si4 0.634 0.634 0.634
Ir1 0.000 0.000 0.721
Ir2 0.000 0.721 0.000
Ir3 0.279 0.279 0.279
Ir4 0.721 0.000 0.000

As for the total DFT energy (no corrections): -72.72 eV/cell. Its space group is No. 217.

=====

# 2
Here is crystalline CaSn2Ir at its relaxed geometry from the Materials Project database. Energies are from PBE.

abc: 5.884 5.884 7.667
angles: 90.00 90.00 136.61
Atoms (fractional coordinates):
Ca1 0.068 0.932 0.750
Ca2 0.932 0.068 0.250
Sn1 0.356 0.644 0.547
Sn2 0.356 0.644 0.953
Sn3 0.644 0.356 0.047
Sn4 0.644 0.356 0.453
Ir1 0.212 0.788 0.250
Ir2 0.788 0.212 0.750

As for the total DFT energy (no corrections): -42.38 eV/cell. Its space group is No. 63.

=====

# 3
Here is crystalline KCaLaSeO6 at its relaxed geometry from the Materials Project database. Energies are from PBE.

abc: 5.713 5.713 5.713
angles: 60.00 60.00 60.00
Atoms (fractional coordinates):
K1 0.000 0.000 0.000
Ca1 0.750 0.750 0.750
La1 0.500 0.500 0.500
Se1 0.250 0.250 0.250
O1 0.025 0.025 0.475
O2 0.025 0.475 0.025
O3 0.025 0.475 0.475
O4 0.475 0.025 0.025
O5 0.475 0.025 0.475
O6 0.475 0.475 0.025

The total energy after the MP2020 corrections comes out at -6.52 eV per atom. As for the total DFT energy (no corrections): -61.10 eV/cell. Its space group is No. 216. The magnetic moment is 0.00 μB per formula unit.

=====

# 4
Here is crystalline K2Na2Ca4Mg15Si24O72 at its relaxed geometry from the Materials Project database. Energies are from PBE.

abc: 12.323 12.323 10.167
angles: 103.83 103.83 96.06
Atoms (fractional coordinates):
K1 0.000 0.000 0.000
K2 0.667 0.667 0.667
Na1 0.051 0.604 0.813
Na2 0.604 0.051 0.813
Ca1 0.274 0.714 0.481
Ca2 0.382 0.941 0.146
Ca3 0.714 0.274 0.481
Ca4 0.941 0.382 0.146
Mg1 0.006 0.649 0.313
Mg2 0.089 0.902 0.480
Mg3 0.161 0.161 0.646
Mg4 0.233 0.423 0.813
Mg5 0.311 0.671 0.978
Mg6 0.344 0.984 0.648
Mg7 0.423 0.233 0.813
Mg8 0.494 0.494 0.981
Mg9 0.566 0.753 0.146
Mg10 0.649 0.006 0.313
Mg11 0.671 0.311 0.978
Mg12 0.753 0.566 0.146
Mg13 0.828 0.828 0.314
Mg14 0.902 0.089 0.480
Mg15 0.984 0.344 0.648
Si1 0.071 0.239 0.365
Si2 0.084 0.254 0.928
Si3 0.150 0.493 0.521
Si4 0.159 0.817 0.189
Si5 0.162 0.505 0.106
Si6 0.172 0.829 0.770
Si7 0.239 0.071 0.365
Si8 0.254 0.084 0.928
Si9 0.401 0.571 0.699
Si10 0.416 0.584 0.262
Si11 0.482 0.826 0.856
Si12 0.493 0.150 0.521
Si13 0.496 0.837 0.438
Si14 0.505 0.162 0.106
Si15 0.571 0.401 0.699
Si16 0.584 0.416 0.262
Si17 0.734 0.904 0.032
Si18 0.751 0.921 0.595
Si19 0.817 0.159 0.189
Si20 0.826 0.482 0.856
Si21 0.829 0.172 0.770
Si22 0.837 0.496 0.438
Si23 0.904 0.734 0.032
Si24 0.921 0.751 0.595
O1 0.026 0.026 0.599
O2 0.030 0.796 0.735
O3 0.039 0.783 0.056
=====

Besides history and politics, O’Neill also features chapters on the National Palace Museum (Taiwan’s best-known museum, which contains treasures from China brought over by Chiang Kai-shek and which O’Neill has written a separate history book on), chip foundry TSMC (one of the world’s most valuable companies) as well as art and culture, including the illustrious Cloud Gate dance troupe and Taiwan’s most well-known sculptor Ju Ming. Taiwan’s civil society, of which the most prominent exemplars are several massive Buddhist charitable organizations which run worldwide operations, is also covered in detail.


 O’Neill clearly has a rosy and supportive stance towards Taiwan which he admits in the epilogue, and he tends to overlook Taiwan’s faults such as its stifling work culture, insular attitudes, history of conflict against its minority indigenous people, and discrimination towards non-Westerner foreigners. He is chided by a Hong Konger who lives on the island for his relatively privileged status as an American visitor, “But you are not competing with them for jobs, housing and opportunities, as we are. Then you see a different face, more inward-looking and protective of their own interests.”

-- Data records, kept here for reference --
-- begin --
# 1
Na6Mg4Ta20Si21S15O144 | PBE-GGA | optimized geometry

a = 8.8396 Å, b = 15.3212 Å, c = 22.8925 Å
α = 90.00°, β = 90.03°, γ = 90.04°
Space group P1 (No. 1)
Unique sites:
1 Na 0.0000 0.0000 0.0000 x1
2 Na 0.0011 0.6633 0.8338 x1
3 Na 0.5002 0.1653 0.3350 x1
4 Na 0.5019 0.4988 0.5021 x1
5 Na 0.5127 0.1671 0.8344 x1
6 Na 0.9888 0.6636 0.3367 x1
7 Mg 0.0117 0.0048 0.1469 x1
8 Mg 0.4807 0.5020 0.6499 x1
9 Mg 0.5174 0.5013 0.3552 x1
10 Mg 0.9859 0.0014 0.8551 x1
11 Ta 0.0001 0.6581 0.9776 x1
12 Ta 0.0013 0.0060 0.6402 x1
13 Ta 0.0008 0.3382 0.0237 x1
14 Ta 0.0012 0.6629 0.1874 x1
15 Ta 0.0012 0.6642 0.4802 x1
16 Ta 0.0083 0.0041 0.3617 x1
17 Ta 0.0183 0.6602 0.6871 x1
18 Ta 0.4851 0.1617 0.1856 x1
19 Ta 0.4892 0.4963 0.8598 x1
20 Ta 0.4958 0.1669 0.6915 x1
21 Ta 0.4984 0.1652 0.9783 x1
22 Ta 0.5007 0.5056 0.1400 x1
23 Ta 0.5025 0.1580 0.4798 x1
24 Ta 0.5016 0.8386 0.5256 x1
25 Ta 0.5077 0.8334 0.0240 x1
26 Ta 0.5120 0.8311 0.3116 x1
27 Ta 0.5116 0.8312 0.8128 x1
28 Ta 0.9923 0.3314 0.3135 x1
29 Ta 0.9940 0.3326 0.8076 x1
30 Ta 0.9936 0.3339 0.5258 x1
31 Si 0.1412 0.1427 0.2498 x1
32 Si 0.1413 0.4725 0.9160 x1
33 Si 0.1443 0.8086 0.5838 x1
34 Si 0.1585 0.5194 0.5826 x1
35 Si 0.2165 0.1694 0.5839 x1
36 Si 0.2858 0.6700 0.0834 x1
37 Si 0.3462 0.0189 0.0818 x1
38 Si 0.3557 0.3089 0.0830 x1
39 Si 0.3582 0.3575 0.7500 x1
40 Si 0.3616 0.9732 0.4167 x1
41 Si 0.3643 0.6418 0.7504 x1
42 Si 0.6433 0.0234 0.5867 x1
43 Si 0.6440 0.6407 0.2520 x1
44 Si 0.6452 0.6884 0.9182 x1
45 Si 0.6530 0.9763 0.9173 x1
46 Si 0.7154 0.3317 0.9168 x1
47 Si 0.7904 0.8309 0.4183 x1
48 Si 0.8498 0.4763 0.4179 x1
49 Si 0.8531 0.1920 0.4191 x1
50 Si 0.8578 0.1395 0.7523 x1
51 Si 0.8579 0.5213 0.0839 x1
52 S 0.1421 0.1877 0.9176 x1
53 S 0.1449 0.8549 0.2513 x1
54 S 0.2149 0.4986 0.2520 x1
55 S 0.2150 0.8341 0.9178 x1
56 S 0.2864 0.9974 0.7521 x1
57 S 0.2873 0.3342 0.4178 x1
58 S 0.3586 0.6879 0.4174 x1
59 S 0.6406 0.3103 0.5839 x1
60 S 0.6429 0.3541 0.2510 x1
61 S 0.7131 0.6637 0.5840 x1
62 S 0.7161 0.9993 0.2501 x1
63 S 0.7849 0.5004 0.7493 x1
64 S 0.7875 0.1638 0.0838 x1
65 S 0.8598 0.8540 0.7507 x1
66 S 0.8606 0.8101 0.0839 x1
67 O 0.0626 0.4289 0.8603 x1
68 O 0.0659 0.7634 0.5268 x1
69 O 0.0668 0.1032 0.1938 x1
70 O 0.0672 0.4275 0.5725 x1
71 O 0.0690 0.5719 0.9247 x1
72 O 0.0707 0.5663 0.6399 x1
73 O 0.0735 0.8935 0.3038 x1
74 O 0.0742 0.9028 0.5996 x1
75 O 0.0770 0.7642 0.2452 x1
76 O 0.0783 0.2290 0.9708 x1
77 O 0.0814 0.2421 0.2661 x1
78 O 0.0828 0.0995 0.9123 x1
79 O 0.1041 0.5842 0.5281 x1
80 O 0.1083 0.2513 0.5717 x1
81 O 0.1094 0.7461 0.6409 x1
82 O 0.1106 0.4156 0.9754 x1
83 O 0.1127 0.0805 0.3083 x1
84 O 0.1127 0.4221 0.2583 x1
85 O 0.1126 0.5790 0.2432 x1
86 O 0.1162 0.0808 0.5932 x1
87 O 0.1172 0.7540 0.9250 x1
88 O 0.1195 0.2423 0.8651 x1
89 O 0.1202 0.9049 0.1983 x1
90 O 0.1205 0.9109 0.9103 x1
91 O 0.1691 0.0081 0.0863 x1
92 O 0.1711 0.6541 0.7445 x1
93 O 0.1742 0.6544 0.0277 x1
94 O 0.1751 0.3139 0.0729 x1
95 O 0.1790 0.3411 0.7667 x1
96 O 0.1789 0.6822 0.1415 x1
-- stop --

Nevertheless, the book features a good mix of reporting anecdotes and facts, providing a decent and entertaining overview of modern Taiwan and its political and socio-cultural complexities.

Hilton Yip is a writer based in Taiwan and former book editor of Taiwan’s The China Post.